Stairway to Heaven: the Virtual Telescope Project and Tenagra Observatories, Ltd. partner for an unprecedented adventure to explore the Cosmos in real-time, online and available to the world through the internet.
There are unique paths destined to cross. And when they do, something epic happens.
Such an “epic occurrence” has just happened. Tenagra Observatories, Ltd., and the Virtual Telescope Project, will provide to people all over the planet an exceptional, new way to explore the Cosmos live and from the comfort of their homes.
Both Tenagra Observatories, Ltd., in Arizona (USA) and the Virtual Telescope Project in Italy each has a long story of success, discoveries and unprecedented records, with excellent reputations as unique facilities on the global astronomical arena.

Gianluca Masi (left) and Michael Schwartz (right) at Tenagra Observatories
Tenagra Observatories, Ltd., invented internet based Astronomy late in the ‘90s. It was founded by Michael Schwartz, who wanted no less than a system able to capture valuable scientific data under the stars while sleeping and enjoying his many other areas of interest. Soon, Tenagra Observatories became the most efficient, fully robotic astronomical facility on the planet and its telescopes were regularly and intensively used by the most important scientific Institutions in the world.
The first Tenagra Observatory was officially dedicated in the Spring of 1995 in Cottage Grove, Oregon, USA and continues to operate at the time of this writing with much larger facilities near Patagonia, Arizona. The director and prime mover is still Michael Schwartz.
Michael has given many public lectures, has been featured in a DVD produced by, has traveled all over the world to major and historical observatories, has hosted professional astronomers from all over the world, has written for Sky & Telescope among many local Arizona outreach endeavours. Michael has also met with Carl Sagan and Neil de Grasse Tyson. He is a charter member of The Planetary Society created by Dr. Sagan.

Tenagra Observatories in Arizona
The Magic: Not only internet accessibility to professionals and high end amateurs, but unattended batch processing, a most challenging task still not used in many of the world’s largest professional observatories. This means pre-night scheduling to optimize observations in an intelligent manner.
It is impossible to cover the ground breaking scientific work and the many discoveries done at the now legendary Tenagra Observatories, ranging from supernovae to gamma-ray bursts, from near-Earth objects to comets.
As of January 1, 2015, Michael Schwartz and collaborators began work exclusively under the NASA grant #NNX15AE89G for a period of 3 years. Tenagra’s NASA mandate is to track and recover near-Earth asteroids (NEOs), making Tenagra Observatories, Ltd., a major player in the world of NEO tracking but also the best installation in the world for finding NEOs as they come around to visit the Earth a second time. They may miss us the first time after discovery, but they may hit the Earth when they visit the second time.
The Virtual Telescope Project, founded by astrophysicist Gianluca Masi, started its current scientific endeavours in 2006, offering to the world a never-seen before experience: exploring the Cosmos in real-time, sharing live images on the web, with a live commentary by a professional astrophysicist skilled in science communication and chats to meet and discuss with him and all those joining the journey.

This entry pairs a crystal structure of K4Pm3MnO8 with its calculated powder XRD pattern. Radiation: Cu Kα X-rays. Structure: a structure optimized by DFT (GGA+U).
Neutral-atom scattering factors, no anomalous dispersion.

Atomic structure:
Lattice parameters (Å, degrees): 7.140 7.140 7.404 117.29 117.29 57.78
Positions (direct):
K: 0.000 0.000 0.000
K: 0.000 0.500 0.000
K: 0.500 0.000 0.000
K: 0.500 0.500 0.000
Pm: 0.000 0.000 0.500
Pm: 0.000 0.500 0.500
Pm: 0.500 0.000 0.500
Mn: 0.500 0.500 0.500
O: 0.222 0.222 0.691
O: 0.238 0.238 0.278
O: 0.263 0.694 0.667
O: 0.306 0.737 0.333
O: 0.694 0.263 0.667
O: 0.737 0.306 0.333
O: 0.762 0.762 0.722
O: 0.778 0.778 0.309

Main lines, by angle (5° ≤ 2θ ≤ 70°):
Position (°2θ)  I/Imax
14.04  100
28.29  43
30.56  31
30.89  60
33.65  50
35.63  82
48.35  30
51.26  28

----------

1.
# SbTeClO3
Simulated powder X-ray diffraction pattern, Cu Ka. Input: a GGA-PBE-relaxed structure.

Largest 10 diffraction maxima, by angle, 15° ≤ 2θ ≤ 90°:
hkl 2 0 1, 2θ = 19.5°, rel. 65.5
hkl 1 1 1, 2θ = 21.6°, rel. 34.1
hkl 2 1 1, 2θ = 25.4°, rel. 41.0
hkl 1 0 2, 2θ = 25.6°, rel. 32.2
hkl 1 1 2, 2θ = 30.4°, rel. 33.0
hkl 3 1 1, 2θ = 30.7°, rel. 100.0
hkl 0 2 0, 2θ = 32.5°, rel. 40.7
hkl 2 2 1, 2θ = 38.2°, rel. 21.1
hkl 0 1 3, 2θ = 40.6°, rel. 23.6
hkl 3 1 3, 2θ = 47.1°, rel. 25.0

Structural model:
Cell: 11.674 5.512 7.277 Å, 90.00 90.00 90.00°
Space group Pnma (No. 62)
One atom of each set of equivalent atoms:
Sb (0.243, 0.250, 0.082)
Te (0.076, 0.750, 0.180)
Cl (0.077, 0.250, 0.396)
O (0.126, 0.505, 0.008)
O (0.221, 0.750, 0.305)

***

2.
# Sb3TeClO6
Simulated powder X-ray diffraction pattern, Cu Ka. Input: a GGA-PBE-relaxed structure.

Largest 10 diffraction maxima, by angle, 15° ≤ 2θ ≤ 90°:
hkl 2 0 -2, 2θ = 18.4°, rel. 55.4
hkl 0 0 2, 2θ = 22.0°, rel. 21.8
hkl 1 1 0, 2θ = 22.5°, rel. 30.4
hkl 1 1 -1, 2θ = 23.4°, rel. 20.2
hkl 3 1 0, 2θ = 29.6°, rel. 100.0
hkl 0 0 3, 2θ = 33.3°, rel. 33.1
hkl 3 1 -3, 2θ = 35.4°, rel. 40.2
hkl 6 0 -3, 2θ = 35.9°, rel. 35.4
hkl 0 2 0, 2θ = 43.7°, rel. 29.1
hkl 8 0 -5, 2θ = 53.3°, rel. 26.4

Structural model:
Cell: 15.791 4.146 9.659 Å, 90.00 123.24 90.00°
Space group Cm (No. 8)
One atom of each set of equivalent atoms:
Sb (0.000, 0.000, 0.000)
Sb (0.002, 0.000, 0.369)
Sb (0.184, 0.500, 0.658)
Te (0.180, 0.500, 0.022)
Cl (0.339, 0.000, 0.015)
O (0.049, 0.500, 0.438)
O (0.051, 0.500, 0.005)
O (0.066, 0.000, 0.241)
O (0.116, 0.500, 0.789)
O (0.137, 0.000, 0.594)
O (0.143, 0.000, 0.030)

***

3.
# ZnSb2Cl2O3
Simulated powder X-ray diffraction pattern, Cu Ka. Input: a GGA-PBE-relaxed structure.

Largest 10 diffraction maxima, by angle, 15° ≤ 2θ ≤ 90°:
hkl 2 0 1, 2θ = 16.9°, rel. 23.5
hkl 1 1 1, 2θ = 21.3°, rel. 14.7
hkl 2 1 1, 2θ = 23.0°, rel. 23.8
hkl 4 1 1, 2θ = 29.1°, rel. 100.0
hkl 0 2 0, 2θ = 31.5°, rel. 32.7
hkl 1 1 2, 2θ = 31.9°, rel. 13.9
hkl 2 1 2, 2θ = 33.1°, rel. 9.9
hkl 4 1 2, 2θ = 37.7°, rel. 11.2
hkl 6 2 0, 2θ = 44.5°, rel. 10.0
hkl 4 3 1, 2θ = 54.6°, rel. 18.4

Structural model:
[So much for the crystal structures]

The telescopes used as part of the Virtual Telescope Project
Initially, its fully robotic telescopes were intended to support Gianluca Masi’s observing needs for his own researches, spanning from asteroids to cataclysmic variable stars and exoplanets, eliminating the need for the scientist to travel back and forth from the observatory. Soon after he recognized the potential of a powerful telescope connected to the internet, able to share the beauty of the Cosmos with the public in real time, with the bonus of a live commentary from himself. This made history.
Gianluca’s endeavours over the years, thanks to a lot of science and discoveries (from asteroids to exoplanets and cataclysmic variable stars) and many memorable live webcasts sharing the most impressive astronomical events with the world (such as NEOs, comets, eclipses, cosmic cruises), made possible for the Virtual Telescope Project to gain a world-wide reputation. It contributed to every medium on the planet: Newspapers, Magazines, public speaking, television, radio and the internet. On the internet, millions of people from virtually every Country on the globe, had a chance to explore the Cosmos in real-time, via Gianluca’s live webcasts.

Asteroid 2014 DX110 event: almost ready to go!
A state-of-the-art technological heart and a very passionate soul helped the Virtual Telescope to win one of the hardest tasks for a scientist: running a highly respected scientific project, doing at the same time first rate public outreach, becoming the leader of the field. All this running thanks to a single person, with no funds, surviving thanks to donations. History says how greatly it worked and now it is time to expand this and make something unique again.
In “everyday life” (if such a thing exists for either of them!), Michael Schwartz and Gianluca Masi have been the best of friends for more than 15 years, sharing philosophies, arts and visions of the future as wells as visits by both to each other’s facilities. Both consider themselves to be “citizens of the world” along with dedicated translators of the Cosmos to a public hungry to learn.
Only the First Step

The Tenagra III (“Pearl”) robotic unit available at Tenagra Observatories
Michael Schwartz has granted Gianluca 100% exclusive usage of his 16” robotic unit, named “Pearl”, in Arizona. This cooperation between Tenagra Observatories, Ltd., and the Virtual Telescope Project, both highly respected worldwide, will set a new standard in offering astronomical knowledge and online science outreach. The difference in time zone (8 hours) offers a unique opportunity: the real-time observation of the American night sky during the daily, rush hours of Europe.
“It is for me a unique pleasure to work with a scientist and a good friend like Michael Schwartz”, Gianluca Masi said. “I’ve been looking at Tenagra Observatories and Michael’s work as a symbol of excellence for years and having it supporting now the Virtual Telescope is more than a dream coming to be: it is so exciting!”

Messier 8, the “Lagoon” nebula, imaged with the 16″ telescope at Tenagra Observatories
“Having access to a high-tech telescope in the dark skies of Arizona, which has discovered 11 comets and many near-Earth asteroids, at more than 1300 meters above the sea level, in the Sonoran desert, will offer simply unique imaging opportunities and this will enrich a lot the outreach offer which made the Virtual Telescope Project the leading facility for public, real-time, online astronomical observations”, Masi adds.
Beginning February, 2018 Tenagra Observatories will add its 32” fully automated telescope to this joint venture. This is also fully robotic and will allow for the most serious of astronomical research and be able to capture astronomical phenomenon to those that are very dim, but even more revealing about the secrets of the Cosmos.

“Big Blue”, the 32″ robotic telescope joining early next 2018
This joint adventure connecting Tenagra Observatories and the Virtual Telescope Project is one of the most interesting news in the astronomical arena for research and public outreach in the 21rst century. We invite the world to join us on this wonderful adventure and the meeting of two people who are citizens of the Cosmos, not only citizens of world.
*** To celebrate this partnership, next 16 June, starting at 09:30 UT we will offer a stunning online, live observing session. During the live feed, we will announce the calendar of the future webcasts involving the telescope in the US. ***
Michael Schwartz – Tenagra Observatories, Ltd.
Gianluca Masi – The Virtual Telescope Project
Support The Virtual Telescope Project!
If everyone reading this right now would donate something, our fundraiser would be done in a few days. Please, donate and receive an exclusive, LIMITED EDITION image of potentially hazardous asteroids taken by the Virtual Telescope, specifically made for supporters like you!